### Exercise
Search the calculation results further down for the word "comes" and restate each line that has it.

### Contents
! YCoC PBE optimized geometry; values from VASP
&SYSTEM
  ibrav = 0, nat = 3, ntyp = 3
/
ATOMIC_SPECIES
Y 88.91 Y.upf
Co 58.93 Co.upf
C 12.01 C.upf
CELL_PARAMETERS angstrom
3.568 0.000 0.000
0.000 3.568 0.000
0.000 0.000 3.619
ATOMIC_POSITIONS crystal
Y 0.000 0.000 0.000
Co 0.500 0.500 0.500
C 0.500 0.500 0.000
! Spin magnetization (μB/cell): 0.07



Computed, not measured: a relaxed structure of YCoC at the PBE level of DFT. Values from VASP.

Geometry as Quantum ESPRESSO input:
```
&SYSTEM
  ibrav = 0, nat = 6, ntyp = 3
/
ATOMIC_SPECIES
Y 88.91 Y.upf
Co 58.93 Co.upf
C 12.01 C.upf
CELL_PARAMETERS angstrom
3.627 0.000 0.000
0.000 3.627 0.000
0.000 0.000 6.948
ATOMIC_POSITIONS crystal
Y 0.000 0.000 0.250
Y 0.000 0.000 0.750
Co 0.500 0.500 0.000
Co 0.500 0.500 0.500
C 0.000 0.500 0.000
C 0.500 0.000 0.500
```



no.,formation energy (eV per atom)
1,-0.25
2,-0.31

~~~~~

Record 1
Compound: Li2Mn3O6
Source: the Materials Project
Functional: GGA+U
Structure: optimized geometry

```
Li2Mn3O6
1.0
6.553 0.000 0.000
0.889 6.574 0.000
1.541 1.771 15.790
Li Mn O
12 18 36
Direct
0.000 0.000 0.000 Li
0.001 0.005 0.325 Li
0.164 0.838 0.829 Li
0.173 0.831 0.496 Li
0.334 0.667 0.995 Li
0.336 0.668 0.329 Li
0.342 0.664 0.663 Li
0.499 0.504 0.162 Li
0.669 0.334 0.662 Li
0.671 0.333 0.992 Li
0.672 0.330 0.332 Li
0.997 0.004 0.661 Li
0.089 0.420 0.578 Mn
0.090 0.422 0.246 Mn
0.091 0.426 0.912 Mn
0.241 0.239 0.080 Mn
0.246 0.241 0.414 Mn
0.250 0.246 0.747 Mn
0.426 0.093 0.911 Mn
0.426 0.094 0.244 Mn
0.434 0.098 0.578 Mn
0.582 0.913 0.412 Mn
0.582 0.914 0.080 Mn
0.583 0.905 0.747 Mn
0.756 0.762 0.577 Mn
0.759 0.757 0.913 Mn
0.761 0.759 0.244 Mn
0.904 0.570 0.748 Mn
0.911 0.575 0.414 Mn
0.916 0.573 0.081 Mn
0.024 0.689 0.298 O
0.037 0.717 0.949 O
0.040 0.698 0.609 O
0.151 0.147 0.213 O
0.152 0.146 0.547 O
0.161 0.142 0.864 O
0.180 0.520 0.459 O
0.183 0.519 0.781 O
0.196 0.519 0.114 O
0.300 0.960 0.376 O
0.300 0.968 0.715 O
0.315 0.977 0.027 O
0.358 0.356 0.633 O
0.365 0.359 0.950 O
0.371 0.375 0.282 O
0.477 0.819 0.545 O
0.478 0.820 0.879 O
0.492 0.814 0.199 O
0.517 0.184 0.791 O
0.521 0.188 0.112 O
0.522 0.189 0.444 O
0.632 0.637 0.048 O
0.641 0.633 0.699 O
0.648 0.648 0.360 O
0.691 0.020 0.966 O
0.698 0.034 0.625 O
0.700 0.026 0.284 O
0.807 0.486 0.214 O
0.815 0.482 0.881 O
0.822 0.484 0.534 O
0.851 0.848 0.124 O
0.863 0.847 0.447 O
0.863 0.849 0.779 O
0.972 0.308 0.374 O
0.975 0.307 0.033 O
0.981 0.313 0.692 O
```

Calculated values
The calculation puts the formation energy at -2.04 eV per atom. The energy with MP2020 corrections comes out at -500.78 eV/cell. Its total magnetic moment is 11.00 μB per formula unit. For the energy above the most stable polymorph in this dataset, the calculation gives 0.34 eV/f.u.


Record 2
Compound: Li8Mn5Fe3B8O24
Source: the Materials Project
Functional: GGA+U
Structure: optimized geometry

```
Li8Mn5Fe3B8O24
1.0
5.233 0.000 0.000
0.060 6.013 0.000
0.336 2.254 16.046
Li Mn Fe B O
8 5 3 8 24
Direct
0.000 0.000 0.000 Li
0.000 0.498 0.501 Li
0.199 0.374 0.031 Li
0.200 0.873 0.533 Li
0.500 0.248 0.251 Li
0.501 0.749 0.751 Li
0.698 0.122 0.782 Li
0.700 0.623 0.283 Li
0.016 0.087 0.181 Mn
0.016 0.584 0.682 Mn
0.183 0.785 0.352 Mn
0.517 0.335 0.432 Mn
0.683 0.538 0.101 Mn
0.191 0.285 0.851 Fe
0.511 0.837 0.931 Fe
0.690 0.034 0.601 Fe
0.019 0.275 0.343 B
0.021 0.773 0.845 B
0.181 0.098 0.690 B
0.181 0.596 0.190 B
0.518 0.026 0.092 B
0.520 0.524 0.594 B
0.680 0.349 0.938 B
0.682 0.846 0.441 B
0.027 0.731 0.235 O
0.032 0.229 0.738 O
0.059 0.982 0.633 O
0.067 0.476 0.133 O
0.133 0.395 0.400 O
0.142 0.891 0.901 O
0.170 0.639 0.798 O
0.172 0.141 0.298 O
0.259 0.045 0.079 O
0.261 0.545 0.579 O
0.439 0.577 0.204 O
0.440 0.076 0.701 O
0.529 0.483 0.985 O
0.529 0.980 0.488 O
0.559 0.230 0.882 O
0.567 0.728 0.384 O
0.633 0.144 0.149 O
0.634 0.645 0.650 O
0.670 0.892 0.045 O
0.672 0.388 0.549 O
0.760 0.294 0.329 O
0.762 0.796 0.832 O
0.938 0.326 0.951 O
0.940 0.827 0.455 O
```

Calculated values

### Completed
The calculation puts the formation energy at -2.04 eV per atom. The energy with MP2020 corrections comes out at -500.78 eV/cell. Its total magnetic moment is 11.00 μB per formula unit. For the energy above the most stable polymorph in this dataset, the calculation gives 0.34 eV/f.u.